Given the recent 3-day Greater Brisbane lockdown, we thought it would be useful to provide a short summary of the updated restrictions announced this morning [Monday 11 January 2021]along with the leave and stand down options under the Fair Work Act 2009 [Cth] [FW Act] in the event we have further National/State short or long-term lockdowns.

Please do not underestimate how important your Covid Plan, policies and procedures are going to be in 2021. 

updated Greater Brisbane [Brisbane, Ipswich, Logan City, Moreton Bay and Redlands Councils] restrictions 

The restrictions potentially relevant to your business are as follows:  

## Inserted here: materials data
┌──
Entry 1:
A plane-wave DFT calculation with GGA+U was carried out for crystalline Li5Fe2P2C2O14 at its relaxed geometry. Values from VASP.

The structure in Quantum ESPRESSO input format:
```
&SYSTEM
  ibrav = 0, nat = 50, ntyp = 5
/
ATOMIC_SPECIES
O 16.00 O.upf
Li 6.94 Li.upf
C 12.01 C.upf
Fe 55.84 Fe.upf
P 30.97 P.upf
ATOMIC_POSITIONS crystal
O 0.838 0.125 0.574
O 0.420 0.148 0.441
Li 0.255 0.229 0.276
O 0.513 0.365 0.165
O 0.128 0.866 0.426
Li 0.798 0.122 0.104
C 0.688 0.371 0.041
O 0.623 0.870 0.897
O 0.792 0.532 0.310
O 0.845 0.220 0.303
O 0.845 0.720 0.303
Fe 0.216 0.623 0.666
O 0.176 0.282 0.700
O 0.623 0.370 0.897
O 0.176 0.782 0.700
P 0.721 0.630 0.413
O 0.086 0.125 0.935
C 0.689 0.871 0.041
O 0.563 0.375 0.542
Fe 0.790 0.380 0.329
P 0.255 0.872 0.583
Li 0.741 0.743 0.742
O 0.128 0.366 0.426
O 0.933 0.380 0.072
P 0.722 0.130 0.413
O 0.159 0.467 0.686
Li 0.220 0.877 0.899
Fe 0.216 0.123 0.666
O 0.410 0.145 0.097
O 0.159 0.967 0.686
Li 0.741 0.243 0.742
O 0.420 0.648 0.441
O 0.410 0.645 0.097
C 0.333 0.629 0.961
O 0.563 0.875 0.542
O 0.792 0.032 0.310
Li 0.798 0.622 0.104
C 0.333 0.129 0.961
P 0.255 0.372 0.583
O 0.838 0.625 0.574
Li 0.739 0.998 0.734
O 0.933 0.880 0.072
O 0.511 0.116 0.835
O 0.086 0.625 0.935
Li 0.220 0.377 0.899
O 0.513 0.865 0.165
Li 0.739 0.498 0.734
Fe 0.790 0.880 0.329
O 0.511 0.617 0.835
Li 0.255 0.729 0.276
CELL_PARAMETERS angstrom
-2.661 -2.119 -3.782
1.484 -11.747 5.224
-7.527 0.600 3.749
```

Results
Formation enthalpy at 0 K: -2.310 eV per atom
Volume: 11.03 A^3/atom
VASP energy: -337.3 eV per cell



Entry 2:
A plane-wave DFT calculation with GGA+U was carried out for crystalline Na2FeO2 at its relaxed geometry. Values from VASP.

The structure in Quantum ESPRESSO input format:
```
&SYSTEM
  ibrav = 0, nat = 10, ntyp = 3
/
ATOMIC_SPECIES
O 16.00 O.upf
Na 22.99 Na.upf
Fe 55.84 Fe.upf
ATOMIC_POSITIONS crystal
O 0.366 0.299 0.567
O 0.366 0.799 0.067
Na 0.309 0.464 0.845
Fe 0.000 0.500 0.500
Na 0.691 0.536 0.155
Na 0.309 0.964 0.345
Na 0.691 0.036 0.655
O 0.634 0.701 0.433
Fe 0.000 0.000 0.000
O 0.634 0.201 0.933
CELL_PARAMETERS angstrom
0.000 3.040 0.000
2.294 -1.520 5.120
6.882 1.520 -5.121
```

Results
Formation enthalpy at 0 K: -1.543 eV per atom
Volume: 14.28 A^3/atom
VASP energy: -50.2 eV per cell



Entry 3:
A plane-wave DFT calculation with GGA+U was carried out for crystalline Li3FeP2O8 at its relaxed geometry. Values from VASP.

The structure in Quantum ESPRESSO input format:
```
&SYSTEM
  ibrav = 0, nat = 112, ntyp = 4
/
ATOMIC_SPECIES
Li 6.94 Li.upf
Fe 55.84 Fe.upf
O 16.00 O.upf
P 30.97 P.upf
ATOMIC_POSITIONS crystal
Li 0.535 0.539 0.180
Fe 0.445 0.352 0.508
O 0.441 0.519 0.937
P 0.970 0.461 0.597
Li 0.931 0.536 0.446
O 0.718 0.245 0.955
Fe 0.926 0.603 0.763
O 0.424 0.356 0.329
P 0.970 0.039 0.097
O 0.964 0.237 0.834
Li 0.931 0.964 0.946
O 0.801 0.493 0.315
O 0.199 0.993 0.315
O 0.683 0.051 0.321
Li 0.962 0.290 0.081
P 0.522 0.470 0.351
O 0.126 0.144 0.079
Li 0.068 0.141 0.256
O 0.919 0.056 0.552
└──

  • Businesses and venues can have one person per 4m square indoors, and one person per 2m square outdoors 
  • Gatherings are restricted to 20 people in homes and public spaces 
  • People must carry a mask at all times. Masks must be worn in workplaces if social distancing is not possible, and it is safe to do so 
  • Masks do not need to be worn in private vehicles or outside if at safe distance from others 
  • Masks must be worn on public transport, taxis and in rideshare vehicles [as well as a number of other settings] 

Click here to review the restrictions in more detail. 

We know that this particular lockdown has created some concerns for employers and how they handle this kind of situation, so we asked Justine Ansell from IR Legal Solutions to provide a reminder on leave and stand down requirements that she has summarised below.  


pandemic leave 

  • On 8 April 2020, the Fair Work Commission [FWC] made determinations varying 99 Modern Awards, adding unpaid pandemic leave and annual leave flexibility. 
  • The determinations inserted a temporary new ‘Schedule X’ into these 99 Modern Awards which provided 2 weeks of unpaid pandemic leave and the ability to take annual leave at half their normal pay if their employer agreed. 
  • The FWC has now extended Schedule X in many Modern Awards. Importantly, there are different end dates for the extended unpaid pandemic leave and annual leave provisions in those Modern Awards [click here to see a list of Modern Awards where Schedule X is still in force]. 
  • Employees who are employed under one of the affected Modern Awards can still access up to 2 weeks’ unpaid pandemic leave [or more, by agreement with their employer] if they are prevented from working: 
    • as a result of being required to self-isolate by Government or medical authorities,  
    • or acting on the advice of a medical practitioner, 
    • or by measures taken by Government or medical authorities in response to the pandemic. 
  • The unpaid pandemic leave is available in full immediately to full-time, part-time and casual employees – they do not have to accrue it. Employees also do not have to use all their paid leave before accessing unpaid pandemic leave. 


stand down 

In some circumstances, employers may be able to stand their employees down [with or without pay] during the COVID-19 outbreak for various reasons, including when: 

  • the business has closed because of an Enforceable Government Direction [which means the employee can’t be usefully employed, even from another location such as their home], 
  • there is a stoppage of work due to lack of supply for which the employer cannot be held responsible, or 
  • a qualifying employer or legacy employer uses a JobKeeper enabling stand down direction under the temporary JobKeeper changes to the FW Act. 

Before standing down an employee, employers should consider all other options and seek legal advice.  

During the COVID-19 outbreak, we have seen FWC overturn an employers decision to stand down some employees so to avoid this from happening to you, legal advice should definitely be sought before you make the decision to stand down any of your employees. 

The Fair Work Ombudsman is encouraging employers to consider the following before any stand down decision is made: 

  1. Are working from home arrangements available? 
  2. Can you agree with the employee to a temporary change in duties, rosters or hours, to enable the employee to continue working? 
  3. Accessing paid or unpaid leave options
  4. Can you apply for the JobKeeper scheme in relation to the employee? [although we note there a number of eligibility rules to be considered a ‘qualifying employer’]


If you have specific questions relating to the above, we encourage you to get some legal advice before making decisions, particularly around stand down.  

**Calculated crystals that have nothing to do with the entry:**
........
1.
Density functional theory data (PBE+U) for a geometry-optimized V2CdP2O9 structure.

Computed properties:
Final energy   -7.188 eV per atom
Theoretical density   4.0 g/cm³
ΔH_f (0 K)   -2.5550 eV/atom
Volume   694.8 Å³/cell

The structure in CIF format:
```
data_V2CdP2O9
_symmetry_space_group_name_H-M 'P n m a'
_symmetry_Int_Tables_number 62
_cell_length_a 14.560
_cell_length_b 6.403
_cell_length_c 7.453
_cell_angle_alpha 90.00
_cell_angle_beta 90.00
_cell_angle_gamma 90.00
loop_
_symmetry_equiv_pos_as_xyz
'x,y,z'
'-x,-y,-z'
'-x+1/2,-y,z+1/2'
'x+1/2,y,-z+1/2'
'x+1/2,-y+1/2,-z+1/2'
'-x+1/2,y+1/2,z+1/2'
'-x,y+1/2,-z'
'x,-y+1/2,z'
loop_
_atom_site_label
_atom_site_type_symbol
_atom_site_fract_x
_atom_site_fract_y
_atom_site_fract_z
_atom_site_occupancy
V1 V 0.000 0.000 0.000 1
V2 V 0.122 0.250 0.350 1
Cd1 Cd 0.223 0.250 0.867 1
P1 P 0.067 0.750 0.367 1
P2 P 0.194 0.750 0.894 1
O1 O 0.002 0.250 0.484 1
O2 O 0.019 0.750 0.180 1
O3 O 0.048 0.250 0.128 1
O4 O 0.133 0.549 0.901 1
O5 O 0.134 0.561 0.374 1
O6 O 0.233 0.250 0.547 1
O7 O 0.247 0.250 0.220 1
```



2.
Density functional theory data (PBE+U) for a geometry-optimized Mn13Fe11O32 structure.

Computed properties:
Energy above the most stable polymorph in this dataset   0 meV per atom
Final energy   -7.245 eV per atom
Theoretical density   4.7 g/cm³
ΔH_f (0 K)   -1.8499 eV/atom
Volume   656.2 Å³/cell

The structure in CIF format:
```
data_Mn13Fe11O32
_symmetry_space_group_name_H-M 'P -1'
_symmetry_Int_Tables_number 2
_cell_length_a 6.128
_cell_length_b 6.147
_cell_length_c 20.359
_cell_angle_alpha 89.96
_cell_angle_beta 81.63
_cell_angle_gamma 60.20
loop_
_symmetry_equiv_pos_as_xyz
'x,y,z'
'-x,-y,-z'
loop_
_atom_site_label
_atom_site_type_symbol
_atom_site_fract_x
_atom_site_fract_y
_atom_site_fract_z
_atom_site_occupancy
Mn1 Mn 0.000 0.000 0.000 1
Mn2 Mn 0.189 0.398 0.218 1
Mn3 Mn 0.189 0.903 0.718 1
Mn4 Mn 0.249 0.129 0.375 1
Mn5 Mn 0.305 0.344 0.032 1
Mn6 Mn 0.313 0.840 0.532 1
Mn7 Mn 0.500 0.252 0.750 1
Fe1 Fe 0.000 0.500 0.500 1
Fe2 Fe 0.246 0.630 0.375 1
Fe3 Fe 0.248 0.868 0.125 1
Fe4 Fe 0.250 0.369 0.625 1
Fe5 Fe 0.252 0.128 0.875 1
Fe6 Fe 0.257 0.628 0.875 1
O1 O 0.095 0.676 0.568 1
O2 O 0.099 0.166 0.065 1
O3 O 0.099 0.728 0.064 1
O4 O 0.102 0.475 0.320 1
O5 O 0.106 0.223 0.564 1
O6 O 0.116 0.948 0.822 1
O7 O 0.153 0.429 0.819 1
O8 O 0.153 0.935 0.319 1
O9 O 0.340 0.327 0.433 1
O10 O 0.363 0.825 0.929 1
O11 O 0.387 0.308 0.928 1
O12 O 0.391 0.573 0.182 1
O13 O 0.396 0.013 0.187 1
O14 O 0.397 0.516 0.688 1
O15 O 0.397 0.779 0.429 1
O16 O 0.407 0.061 0.680 1
```



3.
Density functional theory data (PBE+U) for a geometry-optimized K3VH6C4O13 structure.

Computed properties:
Final energy   -6.281 eV per atom
Theoretical density   2.1 g/cm³
ΔH_f (0 K)   -1.7116 eV/atom
Volume   686.0 Å³/cell

The structure in CIF format:
```
data_K3VH6C4O13
_symmetry_space_group_name_H-M 'P -1'
_symmetry_Int_Tables_number 2
_cell_length_a 7.893
_cell_length_b 7.938
_cell_length_c 11.713
........

At businessDEPOT, we are lucky most of our team have the ability to work from home and there are very few roles that cannot be done remotely. However, when the lockdown was announced on Friday, there were still a few team members who were unable to mobilise and get set up to work from home today due to the short notice. 

Someone pasted data records at this point:
____________
Entry 1:
First-principles (PBE) data for crystalline Co2C3N6 at its relaxed geometry, as listed in the Materials Project.

Unit cell a=8.7119 b=2.9729 c=5.0248 alpha=90.00 beta=65.63 gamma=80.18
Closest atoms and distances in Å follow each position.
Fractional positions:
Co  0.3421  0.8289  0.0109  6 N 1.85-2.03
Co  0.6579  0.1711  0.9891  6 N 1.85-2.03
C  0.6486  0.6757  0.5033  2 N 1.21-1.27
C  0.3514  0.3243  0.4967  2 N 1.21-1.27
C  0.0000  0.0000  0.5000  2 N 1.23
N  0.3244  0.3378  0.7527  1 C 1.21
N  0.6756  0.6622  0.2473  1 C 1.21
N  0.3986  0.3007  0.2209  1 C 1.27
N  0.6014  0.6993  0.7791  1 C 1.27
N  0.1089  0.9456  0.2451  1 C 1.23
N  0.8911  0.0544  0.7549  1 C 1.23

Output
Offset from the most stable computed form ... 105 meV/atom
Total energy after the MP2020 corrections ... -8.1691 eV/atom
Spin magnetization ... 0.01 μB per cell
Total DFT energy (no corrections) ... -7.972 eV per atom
Calculated formation energy ... 187 meV per atom
V ... 116.45 Å³/f.u.


Entry 2:
First-principles (PBE) data for crystalline Li3TiP2O8 at its relaxed geometry, as listed in the Materials Project.

Unit cell a=18.0280 b=4.9939 c=7.8352 alpha=53.94 beta=90.00 gamma=90.00
Closest atoms and distances in Å follow each position.
Fractional positions:
Li  0.6988  0.3793  0.8106  4 O 2.00-2.24
Li  0.8775  0.7150  0.5040  4 O 2.00-2.15
Li  0.0508  0.9655  0.2933  3 O 1.99-2.22
Li  0.3775  0.2850  0.9960  4 O 2.00-2.15
Li  0.5508  0.0345  0.2067  3 O 1.99-2.22
Li  0.1988  0.6207  0.6894  4 O 2.00-2.24
Li  0.8012  0.3793  0.3106  4 O 2.00-2.24
Li  0.4492  0.9655  0.7933  3 O 1.99-2.22
Li  0.6225  0.7150  0.0040  4 O 2.00-2.15
Li  0.9492  0.0345  0.7067  3 O 1.99-2.22
Li  0.1225  0.2850  0.4960  4 O 2.00-2.15
Li  0.3012  0.6207  0.1894  4 O 2.00-2.24
Ti  0.8732  0.1939  0.0114  6 O 2.05-2.10
Ti  0.3732  0.8061  0.4886  6 O 2.05-2.10
Ti  0.6268  0.1939  0.5114  6 O 2.05-2.10
Ti  0.1268  0.8061  0.9886  6 O 2.05-2.10
P  0.7146  0.8962  0.2858  4 O 1.52-1.58
P  0.5364  0.5028  0.7263  4 O 1.51-1.58
P  0.0364  0.4972  0.7737  4 O 1.51-1.58
P  0.2146  0.1038  0.2142  4 O 1.52-1.58
P  0.7854  0.8962  0.7858  4 O 1.52-1.58
P  0.9636  0.5028  0.2263  4 O 1.51-1.58
P  0.4636  0.4972  0.2737  4 O 1.51-1.58
P  0.2854  0.1038  0.7142  4 O 1.52-1.58
O  0.1988  0.8232  0.1850  1 P 1.57
O  0.6917  0.5532  0.4898  1 P 1.56
O  0.4397  0.7997  0.2757  1 P 1.58
O  0.6719  0.9710  0.0949  1 P 1.52
O  0.0658  0.1683  0.9758  1 P 1.56
O  0.0662  0.5429  0.5776  1 P 1.51
O  0.8005  0.8700  0.2604  1 P 1.58
O  0.4489  0.4952  0.7266  1 P 1.58
O  0.9489  0.5048  0.7734  1 P 1.58
O  0.3005  0.1300  0.2396  1 P 1.58
O  0.5662  0.4571  0.9224  1 P 1.51
O  0.5658  0.8317  0.5242  1 P 1.56
O  0.1719  0.0290  0.4051  1 P 1.52
O  0.9397  0.2003  0.2243  1 P 1.58
O  0.1917  0.4468  0.0102  1 P 1.56
O  0.6988  0.1768  0.3150  1 P 1.57
O  0.3012  0.8232  0.6850  1 P 1.57
O  0.8083  0.5532  0.9898  1 P 1.56
O  0.0603  0.7997  0.7757  1 P 1.58
O  0.8281  0.9710  0.5949  1 P 1.52
____________
The page goes on:

We enabled those team members to take paid or unpaid leave. We also understand that this situation [and the short notice] may happen again, and again. So we are continuing to adapt our processes and protocols to manage the unpredictability that COVID-19 still presents, as we go into 2021.  


Should you require any specific advice on the current restrictions and/or how your business can best manage these as you move through 2021, get in touch with your local business advisor and we can ensure you speak to the right person to get the right advice.